A Story Of Christmas Remembered By Jean McNeill De Hayes

It must have been 1931 or 32, because it was during the depression. I was only five or six, and we lived in an upper flat on the Westside of Detroit. You came up a flight of stairs and along a hallway to a door leading into the flat. 4838 Vernor – or was it 3848, I can’t remember. It was between Morrell and Ferdinand. My family went to the Holy Redeemer church, and I attended McKinstry grade school on Lansing.

One day, my mother heard someone coming up the stairs, and he was yelling, “Merry Christmas! This is Santa Claus! No child without a Christmas gift!” He had three boxes, and in them were a doll, a truck and a pair of boots, with a jack knife. After he handed them to my mother, he went back down the stairs and out the door.

A short while later, he came back and gave my mother another box. “I forgot to give you a doll,” he said, and then he turned and headed down the stairs. My mother told me later that she held the box and thought, “Now, I have two dolls for my daughter.” We were very poor, although at the time I didn’t know it.

The next day, it began to bother her. “I will never forgive myself,” mother said, in her thick Scottish Brogue accent. “I wonder what wee little girl will be without a doll this Christmas?”

“No mother,” I said. “Whosever name is on Santa’s list will get a gift.”

“I should have ran after him,” she said. “I could have ran after him, and I didn’t.”

We used to get a free bottle of milk in the morning, and two graham crackers. But, we had to have a ticket, and I don’t know how we got on the list – maybe, it was the school? One girl said, “You get milk because you’re poor. Only the poor people get that.”

My mother said, “That’s not true. You’re getting that because you’re a good girl.”And, then someone said that I had welfare shoes on. You had to get a ticket downtown, all the shoes were the same, Oxfords, with that tongue on them, a flap on top, and I said, “Mine are not welfare shoes,” even though I didn’t know what welfare was. So, my mother cut the flap and put different laces on them. “There,” she said. “Now, they don’t look like everybody else’s.”

Mother thought about that doll several times during the year. Every Christmas, it was like a knife to her heart. “I wonder what wee little girl . . . ” she would say, with her head down and her hands clasped. She always gave to Goodfellows after that, and she never walked past the big, red kettle (Salvation Army) without putting something in it. She must have been around 35 when that happened. She died at 87.

## Someone pasted quantum chemistry results at this point
____________
(1)
C10H14F12MgN2O11S4 | ωB97M-V/def2-TZVPD

Geometry as XYZ:
```
54
Properties=species:S:1:pos:R:3
Mg 4.734 -3.326 17.204
C 3.617 -4.179 13.417
F 2.841 -4.077 12.364
F 3.572 -5.411 13.885
F 4.878 -3.914 13.124
S 2.967 -2.973 14.705
O 2.135 -2.017 14.009
O 2.271 -3.885 15.603
N 4.297 -2.379 15.640
S 5.052 -1.226 14.734
O 6.463 -1.236 15.063
O 4.774 -1.299 13.334
C 4.296 0.427 15.348
F 4.969 1.396 14.765
F 3.020 0.468 15.040
F 4.470 0.529 16.670
C 7.476 -5.493 14.712
F 6.370 -6.077 14.321
F 8.509 -6.292 14.648
F 7.702 -4.456 13.928
S 7.278 -4.868 16.496
O 8.124 -5.679 17.336
O 7.510 -3.452 16.551
N 5.534 -4.998 16.873
S 5.340 -6.541 17.127
O 3.961 -6.902 16.820
O 6.317 -7.482 16.654
C 5.394 -6.702 19.051
F 5.646 -7.950 19.389
F 6.418 -5.979 19.521
F 4.255 -6.322 19.605
C 6.633 -1.034 18.302
O 5.621 -2.028 18.409
C 5.366 -2.387 19.780
C 4.021 -3.093 19.963
O 3.719 -3.794 18.783
C 2.388 -4.244 18.594
C 1.409 -3.068 18.432
O 2.033 -2.059 17.669
C 1.139 -1.003 17.334
H 7.567 -1.476 18.653
H 6.329 -0.122 18.821
H 6.842 -0.691 17.292
H 5.289 -1.447 20.334
H 6.174 -2.947 20.254
H 3.236 -2.391 20.261
H 4.054 -3.776 20.821
H 2.041 -4.872 19.418
H 2.380 -4.895 17.720
H 1.185 -2.663 19.426
H 0.480 -3.372 17.948
H 0.605 -0.715 18.246
H 0.469 -1.326 16.538
H 1.735 -0.143 17.037
```

## Properties
Max |F| (Eh/bohr): 0.1097
Spin multiplicity: 1
LUMO energy (eV): -0.23
DFT total energy (a.u.): -4317.81144
Relative energy (zero: lowest compared OMol25 entry of this formula, charge and spin) (kJ/mol): 138.2
Kohn-Sham gap (Eh): 0.3864


(2)
C10H14N | ωB97M-V/def2-TZVPD

Geometry as XYZ:
```
25
Properties=species:S:1:pos:R:3
C -2.672 0.373 -1.635
C -2.586 1.210 -0.533
C -1.575 -0.407 -1.968
C -1.488 1.083 0.320
C -0.407 -0.254 -1.172
C 0.062 -2.493 1.480
C 0.005 -1.281 1.894
C 2.576 1.208 -0.469
C 2.057 0.012 0.350
C 0.632 0.236 1.051
N -0.429 0.397 0.029
H -3.593 0.307 -2.348
H -3.394 1.914 -0.334
H -1.465 -0.986 -2.889
H -1.642 1.583 1.328
H 0.596 -0.648 -1.608
H -0.344 -3.186 2.197
H 0.525 -2.779 0.567
H -0.390 -0.916 2.823
H 2.237 2.147 -0.075
H 2.273 1.045 -1.443
H 3.731 1.198 -0.371
H 1.849 -0.917 -0.080
H 2.754 -0.051 1.217
H 0.687 1.206 1.668
```

## Properties
Max |F| (Eh/bohr): 0.1222
Structure (SMILES): C=C[C@@H](CC)[n+]1ccccc1
Spin multiplicity: 1
LUMO energy (eV): -4.19
DFT total energy (a.u.): -443.85111
Relative energy (zero: lowest compared OMol25 entry of this formula, charge and spin) (kJ/mol): 170.0
Kohn-Sham gap (Eh): 0.3666
Charge: +1


Which value of DFT total energy does entry 2 give? -443.85111 a.u.
____________

On her deathbed, she still thought of that doll and begged my husband Ken and I to “always take good care of The Goodfellows.” I like to think that when my mom, Sarah McNeill died there was a wee little girl with a doll in her arms to greet her.



The Old Newsboys’ Goodfellow Fund of Detroit is a 95-year-old charity founded in 1914 by James J. Brady. The organization includes 300 members whose sole mission is to ensure that there is “No Kiddie without a Christmas.” Each holiday season the Detroit Goodfellows distribute holiday gift boxes to children ages four through 13 living in Detroit, Highland Park, River Rouge and Hamtramck. Each child receives warm clothing, toys, books, games and candy. If you would like to make a tax-deductible donation to the Detroit Goodfellows, please send a check payable to the Detroit Goodfellows to P.O. Box 44444, Detroit, MI 48244-0444. You may also make an online gift using your VISA or MASTERCARD by going to www.detroitgoodfellows.org/donate